********
Here is an optimized crystal structure of Na6Sc4Nb4Si7S5O48 from the Materials Project. Energies are from PBE.

Calculated values
The value obtained for the formation energy is -2.8135 eV per atom. For the size of the total moment, the calculation gives 0.00 μB/f.u. The uncorrected energy is -7.3657 eV/atom. As for the corrected total energy (MP2020 scheme): -578.03 eV per formula unit.

Cell: 8.949 15.555 22.966 Å, 89.97 89.92 89.95°
Atoms (fractional coordinates):
Na: 0.000 0.000 0.000
Na: 0.004 0.329 0.335
Na: 0.004 0.666 0.166
Na: 0.014 0.668 0.675
Na: 0.020 0.326 0.830
Na: 0.142 0.498 0.253
Na: 0.366 0.999 0.758
Na: 0.488 0.829 0.328
Na: 0.496 0.168 0.170
Na: 0.505 0.166 0.670
Na: 0.505 0.830 0.837
Na: 0.508 0.496 0.502
Na: 0.517 0.499 0.003
Na: 0.624 0.998 0.251
Na: 0.646 0.330 0.584
Na: 0.864 0.830 0.083
Na: 0.886 0.498 0.753
Na: 0.993 0.000 0.504
Sc: 0.001 0.326 0.186
Sc: 0.007 0.668 0.816
Sc: 0.011 0.330 0.689
Sc: 0.014 0.003 0.147
Sc: 0.024 0.665 0.317
Sc: 0.495 0.166 0.821
Sc: 0.497 0.501 0.650
Sc: 0.499 0.830 0.188
Sc: 0.504 0.167 0.315
Sc: 0.509 0.827 0.689
Sc: 0.524 0.166 0.517
Sc: 0.987 0.664 0.017
Nb: 0.006 0.998 0.649
Nb: 0.009 0.665 0.524
Nb: 0.017 0.993 0.358
Nb: 0.022 0.999 0.860
Nb: 0.486 0.494 0.356
Nb: 0.493 0.492 0.859
Nb: 0.501 0.497 0.146
Nb: 0.516 0.839 0.478
Nb: 0.517 0.164 0.020
Nb: 0.524 0.833 0.982
Nb: 0.988 0.332 0.482
Nb: 0.988 0.333 0.975
Si: 0.145 0.518 0.418
Si: 0.150 0.851 0.752
Si: 0.151 0.145 0.752
Si: 0.154 0.807 0.419
Si: 0.209 0.499 0.750
Si: 0.301 0.999 0.250
Si: 0.356 0.306 0.920
Si: 0.357 0.349 0.249
Si: 0.364 0.645 0.251
Si: 0.367 0.018 0.919
Si: 0.647 0.310 0.417
Si: 0.650 0.686 0.087
Si: 0.652 0.980 0.089
Si: 0.655 0.024 0.415
Si: 0.714 0.330 0.087
Si: 0.793 0.162 0.915
Si: 0.796 0.831 0.587
Si: 0.857 0.479 0.588
Si: 0.857 0.524 0.915
Si: 0.861 0.185 0.587
Si: 0.865 0.809 0.917
S: 0.148 0.477 0.085
S: 0.151 0.188 0.084
S: 0.213 0.165 0.419
S: 0.215 0.830 0.084
S: 0.295 0.330 0.584
S: 0.297 0.665 0.919
S: 0.361 0.977 0.585
S: 0.362 0.687 0.584
S: 0.646 0.353 0.751
S: 0.647 0.642 0.752
S: 0.716 0.665 0.419
S: 0.718 0.998 0.752
S: 0.791 0.499 0.252
S: 0.864 0.142 0.252
S: 0.864 0.853 0.252
O: 0.072 0.237 0.747
O: 0.073 0.759 0.755
O: 0.074 0.763 0.476
O: 0.075 0.556 0.359
O: 0.077 0.903 0.694
O: 0.079 0.092 0.808
O: 0.080 0.102 0.088
O: 0.081 0.905 0.411
O: 0.085 0.231 0.032
O: 0.085 0.420 0.430
O: 0.088 0.564 0.080
O: 0.089 0.437 0.139
O: 0.104 0.583 0.756
O: 0.107 0.413 0.750
O: 0.109 0.079 0.696
O: 0.110 0.088 0.411
O: 0.111 0.583 0.473
O: 0.114 0.242 0.425
O: 0.114 0.907 0.089
O: 0.117 0.916 0.807
O: 0.118 0.753 0.079
O: 0.122 0.422 0.034
O: 0.125 0.239 0.137
O: 0.128 0.752 0.361
O: 0.176 0.352 0.246
O: 0.180 0.324 0.934
O: 0.180 0.644 0.255
O: 0.181 0.989 0.308
O: 0.183 0.009 0.914
O: 0.187 0.010 0.196
O: 0.194 0.981 0.588
O: 0.195 0.678 0.578
O: 0.202 0.343 0.531
O: 0.206 0.319 0.637
O: 0.209 0.678 0.866
O: 0.210 0.649 0.971
O: 0.301 0.148 0.471
O: 0.302 0.178 0.366
O: 0.304 0.819 0.137
O: 0.309 0.843 0.032
O: 0.315 0.178 0.078
O: 0.318 0.483 0.090
O: 0.322 0.510 0.695
O: 0.329 0.490 0.808
O: 0.331 0.512 0.413
O: 0.333 0.144 0.753
O: 0.333 0.820 0.433
O: 0.333 0.851 0.744
O: 0.376 0.254 0.861
O: 0.383 0.738 0.637
O: 0.392 0.253 0.578
O: 0.392 0.414 0.307
O: 0.392 0.921 0.532
O: 0.396 0.407 0.589
O: 0.396 0.742 0.925
O: 0.397 0.082 0.975
O: 0.400 0.578 0.196
O: 0.400 0.587 0.911
O: 0.404 0.913 0.251
O: 0.406 0.083 0.256
O: 0.423 0.062 0.578
O: 0.423 0.936 0.638
O: 0.424 0.730 0.532
O: 0.428 0.601 0.588
O: 0.428 0.920 0.931
O: 0.432 0.403 0.194
O: 0.432 0.405 0.911
O: 0.434 0.592 0.309
O: 0.436 0.053 0.859
O: 0.437 0.258 0.255
O: 0.438 0.264 0.977
O: 0.440 0.737 0.248
********

Give back the part of the calculation results further up that starts with the line with "0.362 0.687" and stops after the one with "0.428 0.601".

S: 0.362 0.687 0.584
S: 0.646 0.353 0.751
S: 0.647 0.642 0.752
S: 0.716 0.665 0.419
S: 0.718 0.998 0.752
S: 0.791 0.499 0.252
S: 0.864 0.142 0.252
S: 0.864 0.853 0.252
O: 0.072 0.237 0.747
O: 0.073 0.759 0.755
O: 0.074 0.763 0.476
O: 0.075 0.556 0.359
O: 0.077 0.903 0.694
O: 0.079 0.092 0.808
O: 0.080 0.102 0.088
O: 0.081 0.905 0.411
O: 0.085 0.231 0.032
O: 0.085 0.420 0.430
O: 0.088 0.564 0.080
O: 0.089 0.437 0.139
O: 0.104 0.583 0.756
O: 0.107 0.413 0.750
O: 0.109 0.079 0.696
O: 0.110 0.088 0.411
O: 0.111 0.583 0.473
O: 0.114 0.242 0.425
O: 0.114 0.907 0.089
O: 0.117 0.916 0.807
O: 0.118 0.753 0.079
O: 0.122 0.422 0.034
O: 0.125 0.239 0.137
O: 0.128 0.752 0.361
O: 0.176 0.352 0.246
O: 0.180 0.324 0.934
O: 0.180 0.644 0.255
O: 0.181 0.989 0.308
O: 0.183 0.009 0.914
O: 0.187 0.010 0.196
O: 0.194 0.981 0.588
O: 0.195 0.678 0.578
O: 0.202 0.343 0.531
O: 0.206 0.319 0.637
O: 0.209 0.678 0.866
O: 0.210 0.649 0.971
O: 0.301 0.148 0.471
O: 0.302 0.178 0.366
O: 0.304 0.819 0.137
O: 0.309 0.843 0.032
O: 0.315 0.178 0.078
O: 0.318 0.483 0.090
O: 0.322 0.510 0.695
O: 0.329 0.490 0.808
O: 0.331 0.512 0.413
O: 0.333 0.144 0.753
O: 0.333 0.820 0.433
O: 0.333 0.851 0.744
O: 0.376 0.254 0.861
O: 0.383 0.738 0.637
O: 0.392 0.253 0.578
O: 0.392 0.414 0.307
O: 0.392 0.921 0.532
O: 0.396 0.407 0.589
O: 0.396 0.742 0.925
O: 0.397 0.082 0.975
O: 0.400 0.578 0.196
O: 0.400 0.587 0.911
O: 0.404 0.913 0.251
O: 0.406 0.083 0.256
O: 0.423 0.062 0.578
O: 0.423 0.936 0.638
O: 0.424 0.730 0.532
O: 0.428 0.601 0.588